[video member=cmuratori stream_platform=twitch stream_username=handmade_hero project=code title="Cleaning Up Debug Globals" vod_platform=youtube id=7jmDV_Hk42U annotator=Miblo annotator=debiatan]
[0:14][The only reason we are writing a user interface is to support our debug system]
[1:08][Since we are the only users of the UI, we don't care if it's not intuitive, as long as it provides efficient interaction at a low implementation cost]
[3:22][Our approach to UI code]
[4:45][Initial plan for today: Turning off the profiling visualization]
[7:09][The debug UI can be a nice complement live code editing]
[9:19][Change of plans: We'll get rid of the global debug variables]
[10:30][Moving global variables inside the debug state]
[10:50][Making sure all routines have access to the debug state]
[12:22][It will be better to access the debug state through the DebugGlobalMemory. Implementing DEBUGGetState]
[17:15][Testing. We got rid of those global variables]
[18:19][The memory for the DEBUGRenderGroup comes from the transient arena. It should come from the debug arena]
[19:05][Performing the DEBUGRenderGroup allocation inside DEBUGReset]
[20:06][Access to the debug state should imply its initialization]
Misplaced calculated crystals:
-- begin --
Theoretical powder X-ray diffraction pattern
Compound: Nd3CuSiSe7
Radiation: λ = 1.5418 Å (Cu Kα)
Structure: a structure optimized by DFT (GGA-PBE)
Intensities are scaled so that the largest is 100.

Cell and atoms:
Unit cell a=10.6187 b=10.6187 c=6.0864 alpha=90.00 beta=90.00 gamma=120.00
Fractional coordinates of all 24 atoms:
1 Nd 0.1283 0.3554 0.0000
2 Nd 0.2271 0.8717 0.0000
3 Nd 0.3554 0.2271 0.5000
4 Nd 0.6446 0.7729 0.0000
5 Nd 0.7729 0.1283 0.5000
6 Nd 0.8717 0.6446 0.5000
7 Cu 0.0000 0.0000 0.0317
8 Cu 0.0000 0.0000 0.5317
9 Si 0.3333 0.6667 0.4115
10 Si 0.6667 0.3333 0.9115
11 Se 0.0928 0.2565 0.5191
12 Se 0.1053 0.5834 0.2629
13 Se 0.1637 0.9072 0.5191
14 Se 0.2565 0.1637 0.0191
15 Se 0.3333 0.6667 0.7835
16 Se 0.4166 0.5219 0.2629
17 Se 0.4781 0.8947 0.2629
18 Se 0.5219 0.1053 0.7629
19 Se 0.5834 0.4781 0.7629
20 Se 0.6667 0.3333 0.2835
21 Se 0.7435 0.8363 0.5191
22 Se 0.8363 0.0928 0.0191
23 Se 0.8947 0.4166 0.7629
24 Se 0.9072 0.7435 0.0191

Largest 6 diffraction maxima, low angle first, 2θ from 10° to 90°:
d [Å]	2θ/deg	Rel. int.
3.018	29.60	77
2.889	30.95	84
2.738	32.71	68
2.655	33.76	79
2.551	35.19	100
2.290	39.35	72



Theoretical powder X-ray diffraction pattern
Compound: NdTlCu3Se4
Radiation: λ = 1.5418 Å (Cu Kα)
Structure: a structure optimized by DFT (GGA-PBE)
Intensities are scaled so that the largest is 100.

Cell and atoms:
Unit cell a=6.2974 b=6.2974 c=6.2974 alpha=90.00 beta=90.00 gamma=90.00
Fractional coordinates of all 9 atoms:
1 Nd 0.0000 0.0000 0.0000
2 Tl 0.5000 0.5000 0.5000
3 Cu 0.0000 0.0000 0.5000
4 Cu 0.0000 0.5000 0.0000
5 Cu 0.5000 0.0000 0.0000
6 Se 0.2461 0.2461 0.7539
7 Se 0.2461 0.7539 0.2461
8 Se 0.7539 0.2461 0.2461
9 Se 0.7539 0.7539 0.7539

Largest 6 diffraction maxima, low angle first, 2θ from 10° to 90°:
d [Å]	2θ/deg	Rel. int.
4.453	19.94	61
3.636	24.48	58
2.571	34.90	30
2.226	40.52	100
1.899	47.91	27
1.285	73.70	33



Theoretical powder X-ray diffraction pattern
Compound: TbNdCuSi3
Radiation: λ = 1.5418 Å (Cu Kα)
Structure: a structure optimized by DFT (GGA-PBE)
Intensities are scaled so that the largest is 100.

Cell and atoms:
Unit cell a=8.1248 b=8.0666 c=5.7856 alpha=69.60 beta=68.53 gamma=41.87
Fractional coordinates of all 12 atoms:
1 Tb 0.2434 0.7566 0.2434
2 Tb 0.7566 0.2434 0.7566
3 Nd 0.2500 0.2500 0.2500
4 Nd 0.7500 0.7500 0.7500
5 Cu 0.3343 0.3343 0.6657
6 Cu 0.6657 0.6657 0.3343
7 Si 0.1675 0.1675 0.8325
8 Si 0.1719 0.6612 0.8281
9 Si 0.3388 0.8281 0.6612
10 Si 0.6612 0.1719 0.3388
11 Si 0.8281 0.3388 0.1719
12 Si 0.8325 0.8325 0.1675

Largest 6 diffraction maxima, low angle first, 2θ from 10° to 90°:
d [Å]	2θ/deg	Rel. int.
3.493	25.50	35
2.672	33.54	100
2.017	44.95	32
1.610	57.23	21
1.446	64.44	21
1.258	75.59	19

~~~~~

Calculated powder X-ray diffraction pattern of SmHo4Tc for Cu Kα, from a DFT-relaxed cell (PBE, Alexandria).
Intensities are scaled so that the largest is 100.

Crystal structure
a = 8.7909 Å, b = 3.7323 Å, c = 20.4668 Å
α = 90.00°, β = 90.00°, γ = 90.00°
-- stop --
Here the piece continues:
[22:20][CollationArena will be a subarena of DebugArena]
[23:50][Initializing the debug RenderGroup]
[24:32][DEBUGReset will call BeginRender]
[25:42][DEBUGOverlay will call EndRender]
[26:50][The debug system shouldn't rely on the asset system; debug assets should be baked into the binary]
[32:45][If we want the debug system to have access to the asset system, we need to make sure that the asset system is initialized first]
Crystal structures that have nothing to do with the article:
┌──
Computed XRD peak list of Cs2NaFeC6N6 for a wavelength of 1.5418 Å, from the GGA-PBE geometry in the Materials Project.

Main lines, in order of rising 2θ (2θ from 10° to 80°):
| 2theta | I/Imax | (hkl) |
| --- | --- | --- |
| 16.24 | 21 | 0 0 2 |
| 22.86 | 24 | 0 2 0 |
| 23.02 | 100 | 1 1 -3 |
| 23.32 | 26 | 2 0 -2 |
| 28.13 | 20 | 0 2 2 |
| 28.51 | 22 | 2 0 -4 |
| 32.69 | 21 | 0 0 4 |
| 32.89 | 32 | 2 2 -2 |
| 40.25 | 23 | 0 2 4 |
| 40.81 | 23 | 3 1 -1 |

Structure:
a = 7.6282 Å, b = 7.7805 Å, c = 13.3447 Å
α = 90.00°, β = 124.80°, γ = 90.00°
Atoms (fractional coordinates):
1 Cs 0.2414 0.0416 0.2500
2 Cs 0.2414 0.4584 0.7500
3 Cs 0.7586 0.5416 0.2500
4 Cs 0.7586 0.9584 0.7500
5 Na 0.5000 0.0000 0.0000
6 Na 0.5000 0.5000 0.5000
7 Fe 0.0000 0.0000 0.5000
8 Fe 0.0000 0.5000 0.0000
9 C 0.1175 0.2008 0.4769
10 C 0.1175 0.2992 0.9769
11 C 0.1836 0.6406 0.9802
12 C 0.1836 0.8594 0.4802
13 C 0.2137 0.0080 0.6717
14 C 0.2137 0.4920 0.1717
15 C 0.7863 0.5080 0.8283
16 C 0.7863 0.9920 0.3283
17 C 0.8164 0.1406 0.5198
18 C 0.8164 0.3594 0.0198
19 C 0.8825 0.7008 0.0231
20 C 0.8825 0.7992 0.5231
21 N 0.1883 0.1755 0.9616
22 N 0.1883 0.3245 0.4616
23 N 0.2967 0.7264 0.9674
24 N 0.2967 0.7736 0.4674
25 N 0.3462 0.0145 0.7774
26 N 0.3462 0.4855 0.2774
27 N 0.6538 0.5145 0.7226
28 N 0.6538 0.9855 0.2226
29 N 0.7033 0.2264 0.5326
30 N 0.7033 0.2736 0.0326
31 N 0.8117 0.6755 0.5384
32 N 0.8117 0.8245 0.0384
└──
[33:58][Implementing DEBUGStart and DEBUGEnd]
[39:09][Testing. Live code editing and debug services work together now]
[40:10][Resizing the profile view by changing its orthographic projection]
[44:43][The mouse pointer position should also be transformed]
[45:27][Controlling the placement of the profile rectangle]
[49:57][Adjusting lane heights]
[53:37][Displaying the profile rectangle so that we can debug the code that scales and positions it]
[56:41][Fixing lane heights]
[1:01:40][@Miblo][I appreciate that there are more robust ways of implementing such things, but would it be practical to use the debug data to drive some of the game's visual effects, e.g. fire or, more likely, some otherworldly magical entity or the display on an in-game computer? Maybe it could be a sort of Easter Egg for those of us who know how the game's made]
[1:02:45][@elxenoaizd][There are magenta spikes in the debug graph that happens so fast we don't have time to click on them. How do we plan to catch those? Having the ability to step-over frame-by-frame would be useful, methinks. Another idea is to have the debug text left off at the last rect position we hovered at]
[1:04:38][Wrap it up][:speech]